Devoted to the Propagation and Defense of New Testament Christianity
May 25, 1961
NUMBER 4, PAGE 8b-9a


B. M. Strother

Years ago, before "the pastor system" had taken over brethren would call out to the speaker when he was thought to be in error. This incident occurred at the breaking of bread: An elder brother, preacher, was serving at the table, and when the Supper was finished, he began to speak further, was called out of order by a brother, saying, "After the Supper they sang a hymn and went out." The speaker's reply: "Yes, they went to Mt. Olivet, but we can hardly do that." Our modern programming restricts freedom of speech within the assembly, 1 Cor. 14.

### Records of molecules, as found in the file
Entry 1:
Entry from the OMol25 dataset: a structure of composition C20H59FeN19O12 in a non-equilibrium geometry (the ωB97M-V functional and the def2-TZVPD basis).

CARTESIAN COORDINATES (ANGSTROEM)
Fe1 3.03024 -0.64695 0.07314
O1 1.50434 -0.44144 1.51683
C1 0.80936 0.74172 1.09849
C2 0.94725 1.09024 -0.41622
O2 2.19513 0.94547 -1.03537
H1 1.16997 1.55476 1.73962
H2 -0.24422 0.81291 1.38594
H3 0.62734 2.13962 -0.35707
H4 0.22056 0.59704 -1.07092
C3 -2.52479 -4.06344 0.83064
C4 -3.40433 -3.22530 -0.07076
C5 -3.46315 -1.85831 0.61861
C6 -4.14558 -0.76216 -0.22908
C7 -3.22955 -0.63129 -1.45609
C8 -3.13498 -1.90591 -2.29597
N1 -2.71966 -3.03596 -1.36098
O3 -2.51769 -4.24006 -2.06044
C9 -4.38245 -2.19377 -3.09688
C10 -1.93089 -1.68149 -3.26680
C11 -4.82826 -3.85991 -0.11373
H5 -2.94799 -4.18685 1.82971
H6 -1.50694 -3.71432 0.99295
H7 -2.48431 -5.10587 0.50360
H8 -3.86364 -1.90236 1.63231
H9 -2.40031 -1.66532 0.78792
H10 -4.30340 0.19099 0.27423
H11 -5.07836 -1.04647 -0.71886
H12 -2.21251 -0.32846 -1.20038
H13 -3.71962 0.17164 -2.01167
H14 -4.22394 -3.18591 -3.53030
H15 -5.34522 -2.17913 -2.58932
H16 -4.37058 -1.61594 -4.02179
H17 -2.04895 -0.91404 -4.03013
H18 -0.99924 -1.48725 -2.73598
H19 -1.83056 -2.66365 -3.73263
H20 -5.59516 -3.10464 -0.28141
H21 -5.06239 -4.60022 0.64811
H22 -4.88056 -4.43760 -1.04277
H23 -3.41823 -4.56596 -2.19442
C12 -2.03618 5.86038 0.02636
O4 -2.16048 6.97163 -0.45295
N2 -1.20271 4.93674 -0.51631
N3 -2.90883 5.33692 0.92216
H24 -0.89224 5.30916 -1.40399
H25 -1.49707 3.97958 -0.63651
H26 -3.62664 5.90180 1.34255
H27 -2.78728 4.41484 1.31696
C13 1.06680 0.31690 -4.45909
O5 1.22122 0.17748 -5.65637
N4 1.47851 -0.51847 -3.48130
N5 0.64336 1.46984 -3.89772
H28 2.02323 -1.35630 -3.60501
H29 1.65271 -0.10504 -2.57367
H30 0.45037 2.17929 -4.58829
H31 1.18686 1.71563 -3.08193
C14 -3.71466 3.08480 3.09907
O6 -3.32680 3.27975 4.23899
N6 -2.97440 2.54166 2.12599
N7 -4.80011 3.78255 2.60997
H32 -2.04665 2.21068 2.33333
H33 -3.38859 2.29706 1.24127
H34 -5.09243 3.55760 1.67000
H35 -5.58655 4.04809 3.18042
C15 -0.55147 -3.33711 3.92341
O7 -0.93862 -2.55513 4.75985
N8 -0.71805 -4.69759 4.08202
N9 0.11798 -3.06914 2.79641
H36 -0.96555 -5.10717 4.96503
H37 -0.43345 -5.26314 3.30124
H38 0.58387 -3.85608 2.37875
H39 0.29654 -2.15272 2.41370
C16 3.22666 4.73744 -1.14291
O8 3.78516 5.76043 -1.52487
N10 1.92669 4.68042 -0.80708
N11 3.81605 3.51263 -1.03961
H40 1.30586 5.45798 -0.95031
H41 1.52284 3.78511 -0.58943
H42 3.10788 2.78712 -1.10257
H43 4.69565 3.42603 -1.52217
C17 1.20436 -3.01395 -0.95964
O9 2.39630 -2.69946 -0.87534
N12 0.71119 -3.97142 -1.67530
N13 0.19760 -2.36634 -0.30519
H44 1.32115 -4.23139 -2.43717
H45 -0.19645 -4.33587 -1.43580
H46 -0.71920 -2.37499 -0.73093
H47 0.31275 -1.73268 0.47399
C18 5.02091 1.54406 1.59701
O10 4.31514 0.75462 0.95567
N14 5.00795 2.89507 1.37433
N15 5.96840 1.24603 2.45790
H48 5.84051 3.45565 1.41011
H49 4.28784 3.05448 0.66723
H50 6.69763 1.89408 2.70270
H51 6.31441 0.29631 2.43530

The following story has such force, I think it well to repeat. The Baptists had become so emboldened in the community, challenging for debate, and as there was no David at hand to meet the Goliath, the brethren were disturbed at the turn of events. Propositions were submitted, one of which was on baptism. Finally, in the distress, an old brother, a little more than able to read, accepted the challenge. It became his to lead in the opening speech. Of course his opponent knew he had a push-over. The old brother approached the speaker's stand, Bible in hand. He fumbled through the leaves, finally opened at Mark 16:16, and then thumbed the pages to Acts 2:38. After he had read both he took his seat. This was so unexpected, his opponent was unprepared to answer, but spent his time jamming the wave lengths. After he had finished, the old brother got to the stand, turned again to Mark 16:16 and Acts 2:38 and said, "Brethren, it is still there." Our modern debaters might learn from this story. No man can fight against God, and to stay with the Book will defeat the adversary. Christ, to the devil said, "it is written" — that was all the old brother knew.

Not until I was an old man did I hear gospel preachers defending the idea of joining the church, using Paul's stop-over at Jerusalem for a fifteen day visit with Peter as proof. This is the kind of reasoning that makes Timothy "The Pastor" at Ephesus and justifies the system. We can expect the college brethren to justify support of schools based on Paul's disputing in the school of Tyrannus, at Ephesus. We, too, have made the scripture elastic to cover our inventions.

Paul is made proof for the preacher's wages, having robbed other churches, "taking wages of them." Brother C. R.nichol said to me some eight or ten years ago that James 1:27 was more abused than any scripture, by brethren, and that unless a halting of institutional programs was had, the church would be sapped of her revenues and the gospel would be greatly hindered. Some oldsters remember the first orphan home among the brethren in Texas, as we do the first "located preacher," how this idea was slow to take root, how this first home had its trials and death. Yet to many we would suppose this as old as the church. I recall the record that Nichol's father was an orphan and cared for by a Mr. Pee. I was an orphan from birth, but those of my kin cared for me. Esther, the Jewish maid who lived to become a queen, was an orphan, but raised by her kin, Mordecai. These show us the scriptural way, I Timothy 5:8. The antiquated way before inventive man had set up an idol and called it an orphanage. In the beginning man was upright, but since has become an inventor of much evil. See Ecclesiastes 7:29.